Essential Background Checks
The healthcare industry has no choice but to conduct comprehensive background checks on prospective employees. The reason is because of the many potential negative repercussions that could arise from hiring the wrong candidate.
Here are just three examples of why background checks for Louisiana healthcare professionals are essential:
What comes next are calculated crystals, not part of the page
........
Entry 1:
! KZrRh2 PBE relaxed; values from VASP
&SYSTEM
  ibrav = 0, nat = 4, ntyp = 3
/
ATOMIC_SPECIES
K 39.10 K.upf
Zr 91.22 Zr.upf
Rh 102.91 Rh.upf
CELL_PARAMETERS angstrom
-1.541 2.489 5.305
1.541 -2.489 5.305
1.541 2.489 -5.305
ATOMIC_POSITIONS crystal
K 0.000 0.000 0.000
Zr 0.709 0.209 0.500
Rh 0.288 0.788 0.500
Rh 0.512 0.512 0.000
! Relative energy among the computed polymorphs (eV per atom): 0.495

Entry 2:
! CrHg3Sb PBE relaxed; values from VASP
&SYSTEM
  ibrav = 0, nat = 5, ntyp = 3
/
ATOMIC_SPECIES
Cr 52.00 Cr.upf
Hg 200.59 Hg.upf
Sb 121.76 Sb.upf
CELL_PARAMETERS angstrom
5.254 0.000 0.000
0.000 5.254 0.000
0.000 0.000 5.254
ATOMIC_POSITIONS crystal
Cr 0.000 0.000 0.000
Hg 0.000 0.000 0.500
Hg 0.000 0.500 0.000
Hg 0.500 0.000 0.000
Sb 0.500 0.500 0.500
! ΔE_f (raw) (eV per atom): 0.627
! Relative energy among the computed polymorphs (eV per atom): 0.000

Entry 3:
# Dy11Y4Er9

A relaxed structure of Dy11Y4Er9 (PBE, Alexandria). Values from VASP.

```
&SYSTEM
  ibrav = 0, nat = 24, ntyp = 3
/
ATOMIC_SPECIES
Dy 162.50 Dy.upf
Y 88.91 Y.upf
Er 167.26 Er.upf
CELL_PARAMETERS angstrom
8.299 -12.561 0.000
8.299 12.561 0.000
0.000 0.000 3.635
ATOMIC_POSITIONS crystal
Dy 0.000 0.000 0.000
Dy 0.043 0.406 0.000
Dy 0.161 0.839 0.000
Dy 0.289 0.289 0.000
Dy 0.367 0.633 0.000
Dy 0.406 0.043 0.000
Dy 0.594 0.957 0.000
Dy 0.633 0.367 0.000
Dy 0.711 0.711 0.000
Dy 0.839 0.161 0.000
Dy 0.957 0.594 0.000
Y 0.244 0.445 0.500
Y 0.445 0.244 0.500
Y 0.555 0.756 0.500
Y 0.756 0.555 0.500
Er 0.067 0.213 0.500
Er 0.164 0.631 0.500
Er 0.213 0.067 0.500
Er 0.369 0.836 0.500
Er 0.500 0.500 0.500
Er 0.631 0.164 0.500
Er 0.787 0.933 0.500
Er 0.836 0.369 0.500
Er 0.933 0.787 0.500
```

Entry 4:
! Pr5HoTm2 PBE relaxed; values from VASP
&SYSTEM
  ibrav = 0, nat = 16, ntyp = 3
/
ATOMIC_SPECIES
Pr 140.91 Pr.upf
Ho 164.93 Ho.upf
Tm 168.93 Tm.upf
CELL_PARAMETERS angstrom
3.232 -13.142 0.000
3.232 13.142 0.000
-0.815 0.000 6.484
ATOMIC_POSITIONS crystal
Pr 0.121 0.492 0.994
Pr 0.126 0.874 0.750
Pr 0.163 0.354 0.684
Pr 0.354 0.163 0.184
Pr 0.492 0.121 0.494
Pr 0.508 0.879 0.506
Pr 0.646 0.837 0.816
Pr 0.837 0.646 0.316
Pr 0.874 0.126 0.250
Pr 0.879 0.508 0.006
Ho 0.457 0.543 0.250
Ho 0.543 0.457 0.750
Tm 0.000 0.000 0.000
Tm 0.000 0.000 0.500
Tm 0.000 0.500 0.500
Tm 0.500 0.000 0.000
! Relative energy among the computed polymorphs (eV per atom): 0.149

Entry 5:
# CeZnCuAu

A relaxed structure of CeZnCuAu (PBE, Alexandria). Values from VASP.

```
&SYSTEM
  ibrav = 0, nat = 4, ntyp = 4
/
ATOMIC_SPECIES
Ce 140.12 Ce.upf
Zn 65.41 Zn.upf
Cu 63.55 Cu.upf
Au 196.97 Au.upf
CELL_PARAMETERS angstrom
0.000 3.399 3.399
3.399 0.000 3.399
3.399 3.399 0.000
ATOMIC_POSITIONS crystal
Ce 0.000 0.000 0.000
Zn 0.500 0.500 0.500
Cu 0.250 0.250 0.250
Au 0.750 0.750 0.750
```

Entry 6:
# AlCdPd2

A relaxed structure of AlCdPd2 (PBE, Alexandria). Values from VASP.

```
&SYSTEM
  ibrav = 0, nat = 4, ntyp = 3
/
ATOMIC_SPECIES
Al 26.98 Al.upf
Cd 112.41 Cd.upf
Pd 106.42 Pd.upf
CELL_PARAMETERS angstrom
........
The page goes on
1.) Healthcare professionals are dealing with patients, and patients require the best possible care. By hiring an incompetent healthcare professional, patients’ lives are being put at risk.
2.) A dramatic rise in regulations and litigation over the years have put healthcare providers in a more vulnerable position. By hiring an incompetent healthcare worker, healthcare providers increase the likelihood of unwanted litigation.
3.) The healthcare industry provides lucrative careers and candidate pools tend to be composed of highly qualified individuals. How can a healthcare provider know unequivocally they are hiring the best candidate without having all of the information they need?
Global Data Fusion’s Louisiana Healthcare Worker Background Checks
Global Data Fusion is an authorized agent of the Louisiana State Police
- A small number of companies in the state of Louisiana are authorized by the state police to offer these types of background checks.
Global Data Fusion has the best turn around (TAT) times and pricing available.
Medical Background Checks in Louisiana are Global Data Fusions’ specialty.
Global Data Fusion is your LSP approved medical background check authorized agent.
“Louisiana Law” TITLE 40 — Public health and safety RS 40:1300.52 a. a. a. Employment of non-licensed medical personnel and licensed ambulance personnel.
Simply, the law states, that an employer shall obtain a background check
through the Louisiana State Police or its Authorized Agent for a non-licensed person or any licensed ambulance personnel offering to provide nursing care, health-related services, or supportive services to any individual.
Definition of an Authorized Agent: An “Authorized Agent” is defined as a private entity authorized by the Office of State Police (OSP) to conduct criminal history checks.
As per Louisiana Department of Health and Hospitals (DHH), the following is a list of the specific charges which are considered “disqualifying offenses” when applying for a non-licensed healthcare worker position in Louisiana.
solicitation for murder LA RS 14:28.1
first degree murder LA RS 14:30
second degree murder LA RS 14:30.1
manslaughter LA RS 14:31
first degree feticide LA RS 14:32.6
(assisting with) suicide LA RS 14:32.12
aggravated battery LA RS 14:34
second degree battery LA RS 14:34.1
aggravated second degree battery LA RS 14:34.7
simple battery of the infirmed LA RS 14:35.2
aggravated assault LA RS 14:37
assault by drive-by shooting LA RS 14:37.1
aggravated assault with a firearm LA RS 14:37.4
mingling harmful substances LA RS 14:38.1
aggravated rape LA RS 14:42
forcible rape LA RS 14:42.1
simple rape LA RS 14:43
sexual battery LA RS 14:43.1
second degree sexual battery LA RS 14:43.2
oral sexual battery LA RS 14.43.3
solicitation for murder LA RS 14:28.1
first degree murder LA RS 14:30
second degree murder LA RS 14:30.1
manslaughter LA RS 14:31
first degree feticide LA RS 14:32.6
(assisting with) suicide LA RS 14:32.12
aggravated battery LA RS 14:34
second degree battery LA RS 14:34.1
aggravated second degree battery LA RS 14:34.7
simple battery of the infirmed LA RS 14:35.2
aggravated assault LA RS 14:37
assault by drive-by shooting LA RS 14:37.1
aggravated assault with a firearm LA RS 14:37.4
mingling harmful substances LA RS 14:38.1
aggravated rape LA RS 14:42
forcible rape LA RS 14:42.1
simple rape LA RS 14:43
sexual battery LA RS 14:43.1
second degree sexual battery LA RS 14:43.2
oral sexual battery LA RS 14.43.3
If a prospective health worker will be working with clients under the age of 21, these charges also apply:
aggravated kidnapping of a child LA RS 14.44.2
misdemeanor carnal knowledge of a juvenile LA RS 14.80.1
molestation of a juvenile or a person with mental or physical disability LA RS 14.81.2
cruelty to juveniles LA RS 14:93
Employers may also exercise their right to refuse an offer of employment to any applicant whose background check reveals a conviction of an offense that includes the distribution of, or possession with the intent to distribute, controlled substances.
To learn about Global Data Fusion, LLC’s solutions for Healthcare Background Checks in Louisiana, feel free to contact us today at (337) 205-3007, or fill out our form at the top of this page.